My baby is now a whole year old, and very very different from her brother. She’s a full-on kiddo with very little patience, tons of courage and initiative, huge wells of enthusiasm, and no problem letting me know exactly what she wants. She loves song and wordplay, texture and motion, turning the pages herself, and when she’s done the book is over. So in celebration of an intense little person, her joy and her fury, here are the books that get dropped in my lap with an “Eeee! Eeee! Eeeee!” ... and what happens next, transliterated into words for easier perusal.
Peek-a-Who? “Do the owl again. Do the mirror again. Okay train. Okay whole thing again. Okay owl.”
Peekaboo Kisses Initiate one hundred thousand openings of the flaps. Noises, petting. Flaps again. “No mom your thumb goes HERE so we can squeak the mouse. See, just push like this. Hey a mirror!!!”
The Very Hungry Caterpillar Poke each hole and make “chomp” noises. Don’t worry about what happens after the cocoon, no one cares about that.
Ten Nine Eight “That’s the daddy. Where’s my toes? Look! Shoes! Shoes shoes shoes! Let’s point at the seashells. Here’s the buttons. Here’s the eyes. Where do the kisses go? OK done.”
Pajama Time This book ends with a dance party. Some people think it ends with going to bed; those people are wrong.
That’s Not My Puppy “Clearly this is my puppy, this is the best puppy with the hairy coat. I suppose I will examine these other puppies. Ooooo, shaggy! Woof! Woof woof woof! All puppies poked, good job.”
Behowl the Moon “Ooo, lion, wolf, snoring! What does the owl say? What’s this fairy? What’s the donkey say? Don’t you try to skip those noises. Do the noises. Everybody! Pat the animals. ‘Else the Puck a liar call’---yup you’re a big liar the end.”
What a Wonderful World “Trees, ok. Let’s look at these roses. They’re red! Red roses! Nine of them! No hook. Next page, poke the clouds, next page, no hook. Next page, rainbow! Kids! Page, page, FISH!!!! End of book.”
Tails Plenty to poke here and even more to grab at.
Calculated crystals that have nothing to do with the entry:
********
This record from the Materials Project describes an optimized crystal structure of Na2Mg5Zr3S12O48. The functional is PBE.

Cell lengths 8.794, 15.229, 22.826 Å; angles 89.96, 89.96, 89.99 degrees
Space group P1 (No. 1)
Inequivalent atoms, fractional coordinates:
Na 0.000 0.000 0.000
Na 0.000 0.003 0.492
Na 0.001 0.669 0.162
Na 0.500 0.171 0.659
Na 0.502 0.500 0.492
Na 0.502 0.503 0.995
Mg 0.000 0.334 0.471
Mg 0.000 0.999 0.145
Mg 0.001 0.003 0.640
Mg 0.001 0.669 0.310
Mg 0.002 0.001 0.347
Mg 0.500 0.501 0.847
Mg 0.500 0.502 0.347
Mg 0.501 0.169 0.511
Mg 0.501 0.499 0.643
Mg 0.502 0.173 0.810
Mg 0.502 0.504 0.144
Mg 0.502 0.836 0.470
Mg 0.505 0.831 0.975
Mg 0.997 0.338 0.973
Mg 0.999 0.667 0.014
Zr 0.001 0.338 0.186
Zr 0.001 0.668 0.512
Zr 0.002 0.002 0.849
Zr 0.004 0.335 0.682
Zr 0.499 0.834 0.681
Zr 0.501 0.168 0.310
Zr 0.501 0.832 0.185
Zr 0.503 0.171 0.018
Zr 0.999 0.663 0.809
S 0.139 0.856 0.245
S 0.144 0.143 0.244
S 0.148 0.188 0.576
S 0.150 0.521 0.914
S 0.151 0.479 0.576
S 0.151 0.812 0.913
S 0.210 0.838 0.576
S 0.212 0.172 0.911
S 0.216 0.506 0.245
S 0.289 0.339 0.077
S 0.292 0.005 0.743
S 0.296 0.669 0.409
S 0.352 0.978 0.076
S 0.353 0.021 0.414
S 0.354 0.688 0.076
S 0.355 0.316 0.414
S 0.359 0.643 0.745
S 0.362 0.356 0.745
S 0.640 0.022 0.910
S 0.640 0.360 0.245
S 0.642 0.688 0.576
S 0.648 0.982 0.576
S 0.649 0.315 0.910
S 0.651 0.642 0.245
S 0.707 0.668 0.914
S 0.708 0.335 0.576
S 0.718 0.002 0.245
S 0.783 0.501 0.744
S 0.794 0.835 0.076
S 0.796 0.167 0.414
S 0.851 0.145 0.743
S 0.853 0.481 0.076
S 0.853 0.815 0.409
S 0.854 0.520 0.409
S 0.859 0.858 0.743
S 0.864 0.189 0.077
O 0.075 0.106 0.297
O 0.075 0.774 0.964
O 0.076 0.896 0.191
O 0.077 0.101 0.586
O 0.077 0.435 0.920
O 0.077 0.767 0.251
O 0.077 0.902 0.904
O 0.078 0.230 0.526
O 0.078 0.233 0.235
O 0.078 0.567 0.570
O 0.080 0.440 0.630
O 0.080 0.564 0.859
O 0.111 0.581 0.251
O 0.112 0.246 0.920
O 0.112 0.915 0.586
O 0.113 0.089 0.904
O 0.114 0.757 0.571
O 0.116 0.425 0.236
O 0.118 0.243 0.631
O 0.119 0.761 0.859
O 0.119 0.911 0.297
O 0.120 0.091 0.191
O 0.121 0.425 0.525
O 0.121 0.579 0.964
O 0.187 0.014 0.404
O 0.187 0.680 0.071
O 0.187 0.991 0.084
O 0.190 0.323 0.420
O 0.191 0.657 0.753
O 0.192 0.347 0.736
O 0.195 0.016 0.692
O 0.195 0.653 0.464
O 0.196 0.321 0.130
O 0.196 0.349 0.024
O 0.196 0.988 0.797
O 0.197 0.682 0.359
O 0.304 0.181 0.858
O 0.305 0.516 0.191
O 0.305 0.822 0.631
O 0.306 0.152 0.964
O 0.306 0.487 0.297
O 0.307 0.850 0.525
O 0.310 0.847 0.235
O 0.311 0.156 0.253
O 0.313 0.824 0.920
O 0.315 0.180 0.572
O 0.315 0.490 0.586
O 0.315 0.514 0.904
O 0.380 0.078 0.464
O 0.381 0.925 0.024
O 0.382 0.592 0.692
O 0.383 0.410 0.797
O 0.383 0.744 0.130
O 0.385 0.259 0.359
O 0.386 0.258 0.070
O 0.387 0.924 0.737
O 0.388 0.746 0.421
O 0.390 0.081 0.752
O 0.390 0.588 0.405
O 0.391 0.414 0.085
O 0.423 0.064 0.359
O 0.423 0.730 0.025
O 0.423 0.940 0.130
O 0.424 0.067 0.068
O 0.424 0.734 0.736
O 0.425 0.267 0.752
O 0.425 0.601 0.085
O 0.425 0.936 0.420
O 0.426 0.396 0.692
********
Snuggle Puppy “Look, hearts! Hearts hearts. Puppies! What are these oooo’s about? More of those. OK, book over.”
Never Touch a Monster With this one we just pet the cover and then read the first page and then repeat, mostly. But since I am perfectly happy to just prod the squiggly rubbery bits too I don’t see a problem with this.
********
Entry 1:
KLiMg6O7 | PBE | relaxed

a = 8.1974 Å, b = 4.5806 Å, c = 4.5806 Å
α = 90.00°, β = 90.00°, γ = 90.00°
Fractional positions:
O (0.7364, 0.0000, 0.0000)
O (0.0110, 0.0000, 0.5000)
O (0.0110, 0.5000, 0.0000)
O (0.2483, 0.5000, 0.5000)
O (0.4846, 0.5000, 0.0000)
O (0.4846, 0.0000, 0.5000)
O (0.7472, 0.5000, 0.5000)
Mg (0.9961, 0.5000, 0.5000)
Mg (0.2501, 0.0000, 0.5000)
Mg (0.7457, 0.5000, 0.0000)
Mg (0.7457, 0.0000, 0.5000)
Mg (0.2501, 0.5000, 0.0000)
Mg (0.4990, 0.5000, 0.5000)
K (0.0230, 0.0000, 0.0000)
Li (0.5173, 0.0000, 0.0000)

- Total DFT energy (no corrections): -5.205 eV per atom
- Formation enthalpy at 0 K: -2375.3 meV/atom
- Total moment: 0.00 μB/atom
- Symmetry: P4mm (99)

Entry 2:
KLiMg14O15 | PBE | relaxed

a = 8.7149 Å, b = 8.5875 Å, c = 4.4020 Å
α = 90.00°, β = 90.00°, γ = 90.00°
Fractional positions:
O (0.2715, 0.0000, 0.0000)
O (0.7192, 0.0000, 0.0000)
O (0.7476, 0.5000, 0.0000)
O (0.0308, 0.2833, 0.0000)
O (0.7510, 0.2514, 0.5000)
O (0.2545, 0.2594, 0.5000)
O (0.0308, 0.7167, 0.0000)
O (0.4961, 0.0000, 0.5000)
O (0.4896, 0.5000, 0.5000)
O (0.0075, 0.5000, 0.5000)
O (0.7510, 0.7486, 0.5000)
O (0.4917, 0.7445, 0.0000)
O (0.0158, 0.0000, 0.5000)
O (0.4917, 0.2555, 0.0000)
O (0.2545, 0.7406, 0.5000)
Mg (0.4970, 0.0000, 0.0000)
Mg (0.9750, 0.5000, 0.0000)
Mg (0.7394, 0.5000, 0.5000)
Mg (0.7303, 0.7488, 0.0000)
Mg (0.7427, 0.0000, 0.5000)
Mg (0.2563, 0.7714, 0.0000)
Mg (0.4954, 0.7439, 0.5000)
Mg (0.0077, 0.2528, 0.5000)
Mg (0.2563, 0.2286, 0.0000)
Mg (0.4954, 0.2561, 0.5000)
Mg (0.2516, 0.0000, 0.5000)
Mg (0.2519, 0.5000, 0.5000)
Mg (0.7303, 0.2512, 0.0000)
Mg (0.0077, 0.7472, 0.5000)
Li (0.5224, 0.5000, 0.0000)
K (0.9872, 0.0000, 0.0000)

- Total DFT energy (no corrections): -5.617 eV per atom
- Formation enthalpy at 0 K: -2735.2 meV/atom
- Symmetry: Pmm2 (25)

Entry 3:
KLiMg14O15 | PBE | relaxed

a = 8.6315 Å, b = 8.6026 Å, c = 4.4110 Å
α = 90.00°, β = 90.00°, γ = 90.00°
Fractional positions:
Mg (0.7583, 0.2541, 0.0000)
Mg (0.7665, 0.5000, 0.5000)
Mg (0.4995, 0.0000, 0.0000)
Mg (0.0047, 0.2584, 0.5000)
Mg (0.7583, 0.7459, 0.0000)
Mg (0.4982, 0.7480, 0.5000)
Mg (0.2490, 0.0000, 0.5000)
Mg (0.4982, 0.2520, 0.5000)
Mg (0.2450, 0.2287, 0.0000)
Mg (0.2450, 0.7713, 0.0000)
Mg (0.0047, 0.7416, 0.5000)
Mg (0.2381, 0.5000, 0.5000)
Mg (0.5200, 0.5000, 0.0000)
Mg (0.7493, 0.0000, 0.5000)
O (0.0159, 0.7186, 0.0000)
O (0.7459, 0.5000, 0.0000)
O (0.2736, 0.0000, 0.0000)
O (0.0090, 0.0000, 0.5000)
O (0.7501, 0.7471, 0.5000)
O (0.2519, 0.7423, 0.5000)
O (0.0159, 0.2814, 0.0000)
O (0.7216, 0.0000, 0.0000)
O (0.4871, 0.7348, 0.0000)
O (0.4968, 0.0000, 0.5000)
O (0.7501, 0.2529, 0.5000)
O (0.2519, 0.2577, 0.5000)
O (0.0068, 0.5000, 0.5000)
O (0.4837, 0.5000, 0.5000)
O (0.4871, 0.2652, 0.0000)
Li (0.9761, 0.5000, 0.0000)
K (0.9917, 0.0000, 0.0000)

- Total DFT energy (no corrections): -5.601 eV per atom
- Formation enthalpy at 0 K: -2719.4 meV/atom
- Total moment: 0.00 μB/atom
- Symmetry: Pmm2 (25)

Entry 4:
KLiMg6O7 | PBE | relaxed
********
Peekaboo Animals Heaven help you if this flap does not come up the first time.
Goodnight Gorilla This one we actually just talk through the story. Who would guess?
Baby Bear, Baby Bear, What Do You See? Somewhere there is a toddler who will listen to call AND response on each page. But half is pretty okay too. And poking the animals makes for a good parent pop quiz.
NB: I should really move Where’s Spot? and Dear Zoo into rotation; they are in the wrong place in the house and getting unfairly left out of the flap-happiness. Time for Bed and A Book of Babies get some play. Goodnight Moon has had its first peak and waned already, it will almost certainly be back later. Baby Beluga is very interesting in the middle; not so much in the beginning and the middle.
*Links are mostly Amazon affiliate links but this is because I am out of time! Please remember your favorite bookstore anyway until I have a chance to get in and add the Indiebound/Barnes and Noble options.